# HfZrZn2Hg

Crystalline HfZrZn2Hg at its relaxed geometry (PBE, the Alexandria database).

Output
ΔE_f = 1031.8 meV per atom
magnetization = 0.0 μB per cell
mass density = 7.1 Mg/m³
VASP energy = -3.238 eV/atom

Unit cell a=5.2339 b=5.2339 c=5.1492 alpha=90.00 beta=90.00 gamma=90.00
Closest atoms and distances in Å follow each position.
Space group P4/mmm (No. 123)
Inequivalent atoms, fractional coordinates:
Hf 0.0000 0.0000 0.0000  2 Zr 2.57
Zr 0.0000 0.0000 0.5000  2 Hf 2.57, 4 Zn 2.62
Zn 0.0000 0.5000 0.5000  2 Zr 2.62
Hg 0.5000 0.5000 0.0000  8 Zn 3.67, 4 Hf 3.70



# NpGe2Pd7

Crystalline NpGe2Pd7 at its relaxed geometry (PBE, the Alexandria database).

Output
ΔE_f = -441.7 meV per atom
polymorph energy (0 for the lowest one) = 0.00 eV/f.u.
magnetization = 7.0 μB per cell
mass density = 10.8 Mg/m³
VASP energy = -6.294 eV/atom

Unit cell a=4.1055 b=4.1055 c=20.5328 alpha=90.00 beta=90.00 gamma=90.00
Closest atoms and distances in Å follow each position.
Space group I4/mmm (No. 139)
Inequivalent atoms, fractional coordinates:
Np 0.0000 0.0000 0.0000  12 Pd 2.90-2.96
Ge 0.0000 0.0000 0.3242  8 Pd 2.53-2.56
Pd 0.0000 0.0000 0.5000  4 Np 2.90, 8 Pd 2.96
Pd 0.0000 0.5000 0.1041  2 Ge 2.53
Pd 0.0000 0.5000 0.2500  4 Ge 2.56



# Te2NCl

Crystalline Te2NCl at its relaxed geometry (PBE, the Alexandria database).

Output
polymorph energy (0 for the lowest one) = 0.39 eV/f.u.
magnetization = 0.0 μB per cell
mass density = 4.9 Mg/m³
raw formation energy = 580 meV/atom
VASP energy = -3.534 eV/atom

Unit cell a=5.4367 b=5.4367 c=14.0910 alpha=90.00 beta=90.00 gamma=90.00
Closest atoms and distances in Å follow each position.
Space group I-42d (No. 122)
Inequivalent atoms, fractional coordinates:
Te 0.1095 0.2500 0.1250  2 N 2.30
N 0.0000 0.0000 0.0000  4 Te 2.30
Cl 0.0000 0.0000 0.5000  4 Te 3.08



# DyEr3S4

Crystalline DyEr3S4 at its relaxed geometry (PBE, the Alexandria database).

Output
polymorph energy (0 for the lowest one) = 0.08 eV/f.u.
magnetization = 0.0 μB per cell
mass density = 8.0 Mg/m³
raw formation energy = -1951 meV/atom
VASP energy = -6.301 eV/atom

Unit cell a=5.4797 b=5.4797 c=5.4797 alpha=90.00 beta=90.00 gamma=90.00
Closest atoms and distances in Å follow each position.
Space group Pm-3m (No. 221)
Inequivalent atoms, fractional coordinates:
Dy 0.0000 0.0000 0.0000  6 S 2.74
Er 0.0000 0.5000 0.5000  6 S 2.74
S 0.0000 0.0000 0.5000  2 Dy 2.74, 4 Er 2.74
S 0.5000 0.5000 0.5000  6 Er 2.74



# BiPRuO2

Crystalline BiPRuO2 at its relaxed geometry (PBE, the Alexandria database).

Output
polymorph energy (0 for the lowest one) = 4.31 eV/f.u.
magnetization = 3.1 μB per cell
mass density = 6.5 Mg/m³
raw formation energy = 610 meV/atom
VASP energy = -5.086 eV/atom

Unit cell a=4.0789 b=4.0789 c=5.6848 alpha=90.00 beta=90.00 gamma=90.00
Closest atoms and distances in Å follow each position.
Space group P4/mmm (No. 123)
Inequivalent atoms, fractional coordinates:
Bi 0.0000 0.0000 0.0000  4 O 2.04
P 0.0000 0.0000 0.5000  2 Bi 2.84, 4 Ru 2.88
Ru 0.5000 0.5000 0.5000  4 P 2.88
O 0.0000 0.5000 0.0000  2 Bi 2.04



# InH3N

Crystalline InH3N at its relaxed geometry (PBE, the Alexandria database).

Output
polymorph energy (0 for the lowest one) = 0.00 eV/f.u.
magnetization = 0.0 μB per cell
mass density = 5.3 Mg/m³
VASP energy = -3.109 eV/atom

Unit cell a=3.4590 b=3.4590 c=3.4590 alpha=90.00 beta=90.00 gamma=90.00
Closest atoms and distances in Å follow each position.
Space group Pm-3m (No. 221)
Inequivalent atoms, fractional coordinates:
In 0.0000 0.0000 0.0000  12 H 2.45
H 0.0000 0.5000 0.5000  2 N 1.73
N 0.5000 0.5000 0.5000  6 H 1.73



# LaEr2Pd

Crystalline LaEr2Pd at its relaxed geometry (PBE, the Alexandria database).

Output
ΔE_f = -437.3 meV per atom
polymorph energy (0 for the lowest one) = 0.10 eV/f.u.
magnetization = 0.0 μB per cell
mass density = 8.7 Mg/m³
VASP energy = -5.249 eV/atom

Unit cell a=3.5529 b=3.5529 c=8.7261 alpha=90.00 beta=90.00 gamma=90.00
Closest atoms and distances in Å follow each position.

What is needed: say how many lines of the lines above hold the word "Zr", as a bare number.

3